
When a specific event occurs in the SMS service, a Post request is created to the URL defined in the webhook settings.
This is a document for the API for the created POST request.

Webhook Delivery

# Molecular data, as found in the file
........
(1)
Density functional theory data (ωB97M-V/def2-TZVPD) for a molecular structure, C16H24F6FeN3O10S2.

Element x y z (Å)
Fe 0.3879 -0.1248 -0.3071
C -1.5768 1.1823 -3.7674
C -1.0980 0.8853 -2.5278
C -2.0578 0.8721 -1.3895
O -1.5885 0.4667 -0.2493
C -3.2830 1.4228 -1.5183
C -3.7993 1.8628 -2.7818
C -2.9153 1.6385 -3.9945
O -3.3338 1.9061 -5.1263
O -4.8382 2.4736 -2.9159
O 0.1152 0.4866 -2.2829
H -0.8695 1.0443 -4.5786
H -3.8420 1.5627 -0.6019
C 2.2634 -3.8545 -1.2576
F 2.7135 -5.0651 -0.9967
F 3.2707 -2.9888 -1.2016
F 1.7218 -3.8143 -2.4418
S 1.1160 -3.4390 0.1394
O 0.5254 -4.6282 0.6223
O 1.9734 -2.8090 1.1053
N 0.0995 -2.2106 -0.4202
S -1.1069 -2.9339 -1.2581
O -1.6404 -2.1099 -2.2888
O -0.7666 -4.2691 -1.6774
C -2.4806 -3.1166 -0.0468
F -3.0053 -1.9147 0.2131
F -3.4165 -3.8969 -0.5743
F -2.0666 -3.6375 1.1202
C 2.8575 3.4480 0.5412
C 2.2732 2.2777 -0.2555
C 3.0485 1.0228 -0.0085
O 2.4871 -0.1107 -0.6692
C 2.9282 -0.1950 -2.0378
N 0.7848 2.0825 0.0557
H 3.9409 3.5389 0.3957
H 2.7435 3.2122 1.6094
H 2.3617 4.3931 0.3491
H 2.2922 2.4939 -1.3283
H 3.1509 0.7707 1.0526
H 4.0988 1.1387 -0.3174
H 3.9710 -0.5277 -2.0960
H 2.7993 0.7435 -2.5762
H 2.3114 -0.9341 -2.5425
H 0.6510 2.2942 1.0524
H 0.3702 2.8891 -0.4168
C -0.7565 -1.4671 3.6581
C -0.6386 -0.3182 2.6358
C -0.7524 0.9670 3.3857
O -0.6036 2.1227 2.5975
C -1.8299 2.5773 2.0587
N 0.7172 -0.3594 1.9358
H -0.3666 -1.2266 4.6541
H -0.2729 -2.3727 3.2914
H -1.8036 -1.7470 3.8369
H -1.4233 -0.4014 1.8853
H -0.0221 1.0035 4.2030
H -1.7527 0.9697 3.8557
H -2.3153 1.7934 1.4641
H -1.6278 3.4134 1.3958
H -2.5056 2.9015 2.8623
H 1.3871 -0.0435 2.6436
H 0.9949 -1.3410 1.8325

Its expectation value of S² is 6.01. The value obtained for the highest occupied orbital energy (spin up / spin down) is -0.157 / -0.156 hartree. The multiplicity is 5. The total charge is -1. For the HOMO-LUMO gap (spin up / spin down), the calculation gives 6.357 / 6.337 eV.

These are the Löwdin partial charges, in e, on atoms 1 to 4: 0.73 0.02 -0.36 -0.36

=====

(2)
Density functional theory data (ωB97M-V/def2-TZVPD) for C22H28N4O5S in the gas phase.

Element x y z (Å)
C -8.7292 -2.1077 -0.9892
C -7.5797 -2.4104 -0.0387
O -6.4488 -1.5798 -0.2952
C -6.5041 -0.3339 0.2328
O -7.3989 0.0695 0.9386
N -5.4306 0.4037 -0.1291
C -4.3406 -0.1483 -0.9091
C -3.4736 0.9815 -1.4508
C -2.8450 1.8107 -0.3190
N -1.5654 1.2589 0.0702
C -0.4227 1.9826 0.0700
O -0.3919 3.1572 -0.2606
C 0.7655 1.2109 0.4799
C 0.9459 -0.1628 0.4716
C 2.2527 -0.4087 0.9096
S 3.0593 -1.9847 0.9327
O 2.0754 -3.0056 0.7352
O 3.9329 -2.0682 2.0600
N 4.0075 -1.9225 -0.4612
C 3.2542 -1.9195 -1.7146
C 3.4619 -0.5366 -2.3611
C 4.6312 0.0023 -1.5870
C 5.3849 1.1383 -1.7843
C 6.4075 1.4246 -0.8871
C 6.6605 0.5864 0.1864
C 5.9040 -0.5592 0.3968
C 4.8926 -0.8368 -0.5021
C 2.8347 0.8134 1.1632
N 1.9393 1.7829 0.8939
C 2.1984 3.1872 1.0752
C -3.7925 1.8789 0.8922
C -5.2415 1.7181 0.4509
H -9.5460 -2.7996 -0.8051
H -9.0825 -1.0928 -0.8254
H -8.4026 -2.2083 -2.0217
........


Http method URI
POST Target URL defined in the webhook settings


Value Type Description
X-Toast-Webhook-Signature String Signature entered when setting webhook

[Request body]

(Calculated molecules from another source follow)
{"formula": "C5H13NO", "method": "wB97M-V/def2-TZVPD", "elements": ["C", "N", "C", "C", "C", "C", "H", "H", "H", "H", "H", "H", "H", "H", "H", "H", "H", "H", "H", "O"], "positions_angstrom": [[0.11, 1.95, 0.93], [-0.47, 0.83, 0.23], [-1.81, 0.23, 0.58], [-1.67, -1.33, 0.52], [-0.27, -1.58, -0.15], [0.49, -0.27, 0.03], [-0.56, 2.81, 0.97], [0.99, 2.19, 0.34], [0.40, 1.87, 2.00], [-2.08, 0.62, 1.56], [-2.30, 0.44, -0.37], [-2.42, -1.86, -0.06], [-1.81, -1.70, 1.55], [-0.50, -1.85, -1.18], [0.14, -2.44, 0.38], [1.09, -0.43, 0.93], [1.05, -0.02, -0.88], [2.74, 0.74, -2.15], [3.37, -0.56, -2.71], [3.55, 0.37, -2.51]], "e_lumo_ev": 0.8, "largest_force_ha_per_bohr": 0.04767, "smiles": "CN1CCCC1.O", "multiplicity": 1, "homo_energy_ha": -0.2983, "charge": 0, "gap_ev": 8.94}



{"formula": "C3H3I5O", "method": "wB97M-V/def2-TZVPD", "elements": ["C", "C", "C", "O", "I", "I", "I", "I", "I", "H", "H", "H"], "positions_angstrom": [[-0.98, 0.40, -0.15], [2.32, -0.19, -0.10], [-1.41, -0.83, 0.01], [2.08, -0.38, 1.18], [-0.71, 1.76, 1.42], [2.75, 1.63, -0.96], [-1.55, -2.11, -1.65], [-1.98, -1.66, 1.85], [-4.23, 1.23, -1.50], [-0.72, 0.79, -1.12], [2.36, -1.08, -0.71], [2.06, 0.43, 1.71]], "e_lumo_ev": [-0.3, -3.2], "largest_force_ha_per_bohr": 0.03108, "multiplicity": 1, "homo_energy_ha": [-0.3375, -0.2605], "charge": 0, "gap_ev": [8.93, 3.89]}

  "hooksId": "202007271010101010sadasdavas",
  "webhookConfigId": "String",
  "productName": "SMS",
  "appKey": "akb3dukdmdjsdSvgk",
  "event": "UNSUBSCRIBE",
  "hooks": [
Value Type Description
hooksId String Unique ID created whenever a POST request is made to the URL defined in the webhook settings
webhookConfigId String Webhook configuration ID
productName String Service name to which webhook events occur
appKey String Service appkey to which webhook events occur
event String Webhook event name
* UNSUBSCRIBE: Registration of recipient number for ad messages
hooks List Data when Webhook event occurs
* For more details, see Hooks Definitions by Event Type.


curl -X POST \
    '{TargetUrl}' \
    -H 'Content-Type: application/json;charset=UTF-8' \
    -H 'X-Toast-Webhook-Signature: application/json;charset=UTF-8' \
    -d '{
        "hooksId": "202007271010101010sadasdavas",
        "webhookConfigId": "String",
        "productName": "Sms",
        "appKey": "akb3dukdmdjsdSvgk",
        "event": "UNSUBSCRIBE",
        "hooks": [
                "hookId": "202007271010101010sadasdavas",
                "recipientNo": "01012341234",
                "unsubscribeNo": "08012341234",
                "enterpriseName": "NHN Cloud",
                "createdDateTime": "2020-09-09T11:25:10.000+09:00"

Hooks Definitions by Event Type

Hook data per event type when generating a POST request to the URL defined in the webhook settings.

What comes next are quantum chemistry results, not part of the text:
~~~
Record 1
This record from the OMol25 dataset describes a molecular structure, C27H61CsN7O19S3 at a distorted geometry. The level of theory is ωB97M-V/def2-TZVPD.

## Properties
E_tot (hartree): -4092.765791
Charge: +1
HOMO level (eV): -10.8822
E_LUMO (eV): -1.9
Frontier orbital gap (eV): 9.015

```
118
Properties=species:S:1:pos:R:3:mulliken_charge:R:1
C -2.65597 -3.41583 0.69346 0.219
C 2.48460 4.59575 2.56365 0.151
H -1.14733 -4.78943 -1.40463 0.082
H -1.80664 -1.30835 -4.41293 0.353
H -3.36202 5.47983 -1.87158 0.279
C -2.16825 1.66300 -3.44512 0.409
H 5.57041 1.51778 1.93583 0.439
H 4.49807 1.63959 0.47190 0.008
C -0.84384 -0.73358 5.45080 -1.174
H -1.55251 3.22788 3.51383 0.470
H -3.00925 -4.45173 -1.61548 0.195
C 6.32668 -0.89557 -2.39001 -0.357
H -4.96734 4.07656 -0.30695 0.253
N 3.57132 0.96890 3.37116 -0.117
H -4.85529 1.29666 1.60864 0.493
N -5.11864 -0.74789 -0.94355 0.276
C -1.42473 2.20599 3.15674 -0.382
H -3.36960 -3.96727 2.68429 0.485
Cs -0.12997 -0.45567 0.17418 0.004
H 3.22060 -2.52811 1.22866 -0.060
O 5.53440 -2.23918 -0.60179 0.022
O -1.58444 1.13363 -2.48187 -0.013
H 6.35725 -1.24806 -3.42099 0.315
H -2.94652 -2.60347 -4.06092 0.374
O 6.85672 -3.89580 -1.96043 -0.553
C 3.59048 0.61156 2.09750 0.711
O 2.60838 0.20064 1.49062 -0.136
O -2.01433 4.05998 0.64000 -0.589
H 1.88139 6.54583 1.64040 0.257
H -2.20059 1.74281 2.54715 -0.134
H 4.65401 -0.41189 -1.13555 0.083
C -2.05442 -2.09300 -3.69807 -0.875
H 4.27618 -1.80643 -2.15443 0.115
H -2.46351 -5.23972 0.92682 0.228
O 7.78183 -3.10591 0.22219 -0.533
H -4.41128 5.48438 0.77488 0.253
O 0.65078 -1.80172 -2.42657 -0.490
O 1.62299 -3.50024 3.65000 -0.471
H 4.41769 1.28178 3.82486 0.267
O 3.02536 -5.19938 2.29940 -0.448
C 3.74198 -4.65722 1.18090 -0.221
O 7.41229 -1.45945 -1.69738 -0.375
C -5.97296 -1.33956 -1.93909 -1.006
H -2.26889 -1.57740 -2.76198 0.138
H -0.43985 5.57258 -1.23434 0.388
C -3.68413 1.62210 -3.64214 -1.257
C -2.61400 -3.36808 2.17623 -0.942
C -1.12231 0.03371 4.17274 0.310
S 6.98274 -2.84998 -0.96517 1.056
C 5.06746 -1.31159 -1.59129 0.003
C 2.47532 0.74303 4.32946 -0.644
H -3.98915 0.86329 -4.36274 0.411
H 3.94221 -5.39878 0.40753 0.293
H 0.37341 2.66590 -5.49407 0.353
H 1.70732 -4.21097 -2.05643 -0.041
H -1.66199 -1.44354 5.57210 0.354
H 2.02134 3.69388 2.96377 -0.194
H -6.80519 -1.84113 -1.44521 0.302
C -4.50417 5.05983 -0.22474 -0.885
N -1.51840 2.18572 -4.49449 -0.090
S 1.50981 -4.46719 2.58121 0.974
C -1.03194 4.67813 -1.42801 -0.687
H 4.75215 -4.41570 1.51154 0.289
H 2.87604 -3.24398 -0.35117 -0.252
O -6.28071 1.18418 -0.74022 -0.736
H 6.48896 0.17767 -2.48956 0.307
O 3.26218 5.59937 -0.69576 -0.589
H 0.04732 -1.35521 5.36412 0.181
H 3.15206 5.03700 3.30386 0.342
H -5.26386 -1.96439 -2.48212 0.266
H -4.01215 -0.09054 1.14571 0.088
O 1.23523 4.90354 0.69544 -0.209
C 0.28770 -2.84918 -2.98530 0.560
H 1.62057 1.22168 3.85154 -0.041
H 0.35472 2.91730 -3.74556 0.170
O 1.62447 -3.67944 1.12354 0.037
H 0.53360 5.48019 2.38942 0.311
C -2.20871 4.51314 -0.50678 0.466
~~~
Back to the text:

Registration of recipient number for ad messages

Value Type Description
hooks[].hookId String Unique ID created when an event occurs in the service
hooks[].recipientNo String Unsubscribed mobile phone number
hooks[].unsubscribeNo String 080 numbers registered in unsubscription service
hooks[].enterpriseName String Enterprise names registered in unsubscription service
hooks[].createdDateTime String Date and time of unsubscription request
* yyyy-MM-dd'T'HH:mm:ss.SSSXXX
"hooks": [
    "hookId": "202007271010101010sadasdavas",
    "recipientNo": "01012341234",
    "unsubscribeNo": "08012341234",
    "enterpriseName": "NHN Cloud",
    "createdDateTime": "2020-09-09T11:25:10.000+09:00"